The Perfect Enemy | UConn Health Southington Teams with Main Street Community Foundation to Pilot Free Parent Group Sessions to Improve Mental Health of Parents and Children During COVID-19 Pandemic - UConn Today - University of Connecticut
April 23, 2024

UConn Health Southington Teams with Main Street Community Foundation to Pilot Free Parent Group Sessions to Improve Mental Health of Parents and Children During COVID-19 Pandemic – UConn Today – University of Connecticut

UConn Health Southington Teams with Main Street Community Foundation to Pilot Free Parent Group Sessions to Improve Mental Health of Parents and Children During COVID-19 Pandemic – UConn Today  University of Connecticut

The new program at UConn Health Southington has a lending library and resources for parents and families.

Parenting is never easy, but it has become even more challenging during the never-ending COVID-19 pandemic.

“Parenting is hard! It got a lot harder with COVID-19 struggles which have taken a mental health toll on both parents and children,” says David P. FitzGerald, Ph.D., assistant professor and Director of the Child and Adolescent Psychiatry Outpatient Clinic at UConn Health.

FitzGerald reports a steep rise of depression and anxiety among families during the ongoing pandemic and during COVID has received a tripling in parent calls seeking therapy appointments for their kids at UConn Health’s Child and Adolescent Psychiatry Outpatient Clinic due to increased stress levels.

But pandemic or not, parents and children can at times experience elevated feelings of stress, anger, sadness, and anxiety. But even more so during a pandemic with such added stressors as home schooling and quarantine mandates says UConn Health experts.

Given the uptick in demands for child psychiatry appointments during COVID-19, and not enough provider capacity to meet these higher demands, UConn Health experts wanted to work to increase access by offering parent group counseling sessions.

Thanks to a generous $150,000 grant by the Bradley H. Barnes and Leila U. Barnes Memorial Trust at the Main Street Community Foundation a new innovative parenting group pilot program has launched as The Child & Family Development Program at UConn Health Southington.

Victoria TrianoVictoria Triano
Victoria Triano, chairwoman of the Southington Town Council, speaking on Jan. 26 at UConn Health Southington.

“Parents have great intentions to be advocates and teachers for their children. Having increased support and educational resources is critical for parents to stay on a productive path,” FitzGerald stresses.

On the evening of January 26 UConn Health Southington and the Main Street Community Foundation gathered together with local Southington officials and clinicians to celebrate the successful launch of the new, free parent group pilot program.

Victoria Triano, chairwoman of the Southington Town Council, spoke at the celebratory event calling the new Child and Family Development Program “a gem” for the Southington Community.

The new pilot program offers several different parent groups, including those that help parents manage child behavior problems, groups that improve parent-child emotion connections, and support groups for parents of children/teens with neurodevelopmental disorders, especially Autistic Spectrum Disorders. The free parenting group program also offers free educational resources to help parents cope with behavioral issues during this pandemic’s elevated time of stress impacting mental health of parents and children alike.

/*
108
Properties=species:S:1:pos:R:3:forces:R:3 method="wB97M-V/def2-TZVPD" homo_lumo_gap_ev=8.59 total_energy_ev=-58536.03753 charge=0 multiplicity=1 molar_mass_g_mol=612.80
C 1.943 4.639 1.195 0.1 -0.2 1.6
O 2.292 5.150 2.497 0.5 0.6 -1.0
H 2.634 4.979 0.424 -0.1 0.3 0.2
H 2.046 3.555 1.256 -0.3 -0.1 -0.5
H 0.911 4.944 1.017 -0.1 -0.2 -0.7
H 1.792 4.664 3.160 0.2 0.1 0.1
C -1.293 0.840 -5.128 -0.7 -0.1 0.5
O -1.330 -0.590 -5.317 0.2 1.0 -0.2
H -0.576 1.331 -5.783 0.2 -0.6 0.1
H -2.236 1.365 -5.291 -0.4 -0.4 -0.6
H -1.122 1.101 -4.082 0.7 -0.2 0.1
H -2.165 -0.934 -4.991 -0.1 0.1 0.0
C -4.694 -0.443 -1.623 0.6 -0.4 0.6
O -4.796 0.949 -1.357 0.0 0.0 -0.7
H -4.452 -0.959 -0.693 -0.1 -0.2 0.1
H -5.514 -0.976 -2.103 -0.6 0.6 0.1
H -3.847 -0.616 -2.287 0.1 0.4 0.0
H -5.534 1.176 -0.785 -0.1 -0.4 0.0
C -3.629 -4.117 2.480 0.1 0.1 0.4
O -4.319 -5.317 2.231 -0.5 -0.3 -0.1
H -3.617 -3.393 1.664 -0.1 -0.1 -0.3
H -4.158 -3.646 3.308 0.1 0.0 0.0
H -2.600 -4.320 2.781 0.2 0.1 0.0
H -4.000 -5.773 1.449 0.2 0.2 0.0
C -1.428 -5.804 -0.252 0.3 -1.3 0.7
O -0.391 -4.863 -0.216 -0.3 0.8 -0.6
H -1.373 -6.495 -1.095 0.0 0.2 -0.4
H -1.301 -6.437 0.627 -0.4 -0.2 0.2
H -2.437 -5.393 -0.224 0.2 0.6 -0.1
H 0.397 -5.301 0.119 0.2 -0.1 0.2
C 0.829 2.468 3.734 -0.5 -0.7 -0.3
O 1.294 3.600 4.397 0.5 0.6 1.3
H 1.633 1.889 3.279 0.0 0.2 -0.2
H 0.341 1.798 4.443 -0.3 -0.1 -0.2
H 0.131 2.855 2.991 -0.2 -0.7 -0.3
H 1.004 3.559 5.310 0.2 0.3 0.0
C -1.815 3.885 -2.802 0.2 -0.4 -0.9
O -1.031 4.638 -1.928 0.2 0.2 0.8
H -1.270 2.967 -3.022 0.0 0.0 0.1
H -2.783 3.560 -2.420 -0.2 0.3 0.1
H -1.886 4.432 -3.743 -0.5 -0.1 -0.2
H -1.530 5.411 -1.652 0.0 0.1 0.1
C 1.448 -2.844 -1.976 0.4 -0.8 0.7
O 2.485 -2.506 -2.882 -0.3 0.1 -0.2
H 1.928 -3.417 -1.183 0.1 0.2 0.2
H 0.960 -1.994 -1.498 0.0 0.3 -0.3
H 0.711 -3.554 -2.354 -0.1 0.3 -0.4
H 2.097 -2.305 -3.738 0.0 0.1 0.0
C -2.930 3.199 1.120 0.7 1.2 0.3
O -3.413 4.510 1.369 -1.0 0.6 -0.3
H -2.526 2.868 2.076 -0.1 -1.0 -0.3
H -3.729 2.603 0.680 0.0 -0.1 0.4
H -2.131 3.303 0.385 0.2 -0.5 0.0
H -2.902 4.957 2.047 0.2 -0.2 -0.1
C -3.121 -0.083 4.446 0.0 1.3 0.1
O -2.855 -1.293 3.834 0.2 -1.6 -0.3
H -3.800 0.490 3.813 -0.3 0.0 0.2
H -3.538 -0.285 5.433 -0.2 0.6 0.1
H -2.204 0.503 4.523 0.1 0.1 0.3
H -2.898 -1.914 4.564 0.2 -0.5 -0.5
C 4.914 0.457 1.087 1.1 1.5 2.4
O 5.702 1.082 1.825 -1.0 -0.9 -1.4
N 5.100 0.175 -0.199 0.3 0.1 -1.7
C 4.067 -0.510 -0.967 -0.2 -0.6 -0.6
C 6.171 0.855 -1.006 -1.1 -0.1 1.1
H 3.956 0.132 1.522 0.0 -0.4 -0.4
H 3.365 0.141 -1.490 0.2 0.5 0.0
H 3.431 -1.220 -0.440 0.3 0.3 0.8
H 4.506 -1.163 -1.722 0.3 0.2 -0.1
H 6.697 1.550 -0.353 0.2 -0.4 0.1
H 6.833 0.128 -1.474 0.0 0.1 0.1
H 5.692 1.490 -1.750 -0.1 -0.2 -0.3
C 1.873 3.100 -2.413 1.5 -0.5 1.7
O 2.612 2.895 -1.446 -1.0 0.4 -0.4
N 2.308 2.977 -3.665 -0.5 -0.1 -1.1
C 1.347 3.049 -4.728 0.3 1.6 -1.6
C 3.723 2.909 -4.056 -0.8 -0.3 1.1
H 0.822 3.418 -2.328 0.1 -0.2 0.1
H 0.288 3.142 -4.488 0.3 -0.7 0.7
H 1.529 2.318 -5.516 -0.2 -0.4 0.3
H 1.492 4.002 -5.240 0.2 0.3 -0.3
*/

“Parent training in child behavior strategy that is group-based is effective. Research shows that if you work with parents, you may be able to help them better manage their behavior and marry together their more effective behavior with improving their kids’ behavior,” says FitzGerald.

“Working closely with parents could really improve the social-emotional development of their children,” says the new program’s co-director Carolyn Greene, Ph.D., associate professor of psychiatry and clinical psychologist at UConn Health’s Child and Adolescent Psychiatry Outpatient Clinic whose research also focuses on emotion regulation and emotion socialization parenting behaviors

Dr. David FitzGeraldDr. David FitzGerald
Dr. David FitzGerald of UConn Health speaking on Jan. 26 at UConn Health Southington about the new pilot program and its team of experts.

The new program also offers parents referral to clinical services at UConn Health should they or their children be in need.

The UConn Health Southington-based pilot program is leveraging in-depth training certifications co-directors FitzGerald and Greene received from Tuning in to Kids and Tuning in to Teens programs and their online platform resources of materials, videos, and handouts developed by Australia’s University of Melbourne. These programs teach emotionally-intelligent parenting and assist parents in better understanding social-emotional development of their children. Plus, UConn Health Southington educational resources include a lending library for children, adolescents, and families.

“Parents can indeed learn to understand their children’s emotions better and in turn interact with their kids better daily and to also protect their social-emotional development as they grow,” says FitzGerald. “Parents, as children’s first teachers, can serve as emotional coaches to help their children and move them toward their own problem solving.”

According to FitzGerald and Greene parenting success is all about collaboration. Together, parent and child can work to identify their negative emotion, verbalize it, accept it, and figure out what to do together to help the child learn to problem solve. Also, parents should always steer clear of emotion avoidance or emotion dismissing. Plus, always instill positivity whenever possible to help guide children’s future reactions.

Mary Ellen HobsonMary Ellen Hobson
Mary Ellen Hobson, Chair, Bradley H. Barnes and Leila U. Barnes Memorial Trust Advisory Committee is also a former longtime employee of UConn Health.

The pilot program started this fall at UConn Health Southington and is already having a positive impact upon Southington parents.

“Parents in our groups are really feeling better. Parents are learning together and from each other,” FitzGerald happily shared. “They are seeing that they are not alone in their child behavior struggles and that other parents have their same issues.”

There has been a lot of parent enthusiasm. One pleased parent shared with UConn Health that the parent group was “sent from heaven.”

“We are teaching parents on how to better collaborate with their child to be more effective,” says FitzGerald. “And parenting takes practice. We want to empower parents to feel confident, competent, and comfortable parenting.”

“Parenting is so important for a kid’s identity- and all the kids within a family,” stresses FitzGerald. “We need to ensure an

adaptive path is taken and everyone in the family stays on trajectory. If we can identify a problematic behavior, we can work to regulate that behavior, and help kids have few conflicts at home, school, and with other kids.”

Susan SadeckiSusan Sadecki
Susan Sadecki, President & CEO of the Main Street Community Foundation, speaking at the special program’s celebration.

Next, the pilot program looks forward to further growing and expanding its resource library of tools for Southington parents and children and expanding their partnership with Southington Public Schools to offer greater opportunities for school personnel training and a resource repository for school professionals.

The UConn Health Southington-based Child & Family Development Program is in the pilot phase. Southington parents with children ages 5-17 are eligible for the program. Interested Southington parents can call (860) 523-3783 for admission to the parenting groups. Parent groups meet at 1115 West St, Southington, CT.